A trillion atoms, one percent of your dollars, and please be selfish

Date:   Tuesday , September 04, 2007

The future looks bright for the three million non-resident Indians in the U.S. If you have doubts, then look at the odds. Would you bet against a group that consists of 600,000 engineers; 50,000 doctors; 20,000 dentists; 6,000 lawyers; 5,000 pharmacists; 2,000 veterinarians; 2,000 professors; and 60,000 self employed business owners and entrepreneurs? And, remember that this group is living in a country that is the undisputed engine of the world economy and has captured 30% of the world GDP with only 5% of the world’s population.

Yes, America is great, and an average American enjoys eight times more prosperity than an average person living outside of America. The financial story of this lucky Indian group is somewhat unique in comparison. The income of the 3 million Indians in the U.S. is more than the income of 300 million people in India who are breathing at the bottom of the pyramid.

Congratulations, we have arrived. And since researchers tell us that happiness is measured by two scales – actual wealth, and how much richer we are than others, we should be very happy. So what then is the purpose of life, from here on end?

The first 99% of purpose
The first purpose of life is simple and clear. Let’s be selfish and enjoy the heck out of life. Nothing is wrong with this simple thinking. We are educated. We are smart. We are lucky. We worked, and worked very hard. We have earned it. We deserve it.
Life is a box of chocolates, says Forrest Gump. Let’s leave no chocolate unturned. A vacation house, a 12-cylinder car, a vineyard. Let’s have it all. You only live once, some people say.
Let’s not feel an ounce of guilt. Let’s relish 99% of our income or wealth.

The last one percent
If there is commonality in all religions, then it is akin to the trio my Sikh faith believes in: Do good deeds, Remember God, and Share Your Wealth.

Most religions advocate giving of 10% or so of your income. Maybe the 10% works for non-Indians; but for sure, it does not work for Indians.

Why not? Well, if your country has been ruled by foreigners for 2,300 years, then expect your DNA to have a gene code that does not trust organizations and institutions. That is what makes us Indian.

My favorite aunt always says, “If the story is over a year old, I don’t want to hear it.” Since the 2,300 years foreign rule is now a story that turned 60 years old on August 15, 2007, can we move on?

Forget the non-Indian American rule of 10%, can we start the rehabilitation into human faith with at least one percent?

As my 12-year old son, Veeraj, says, “you came from India, you lived there, and now that you can help, you should do it.”

If your gene code still screams at 1%, then ask the fella, what is the percentage of the 1% in which you have lack of trust and faith? Hope the answer is not more than 40%, because George Bush is offering you a tax break of 40% on your giving.

I can’t, my kids need it

Of course they need it, just like you did! Remember your “I came with $200 in my pocket” story.

The proudest thing in almost every affluent NRI’s life is that we are all “self made”. Yes, we beat all odds. Yet we are bent upon robbing that precious joy from the lives of our children. Why, we may ask?

Actually, why don’t we go ahead and tell our kids the truth. “Dear Beta /Beti: Mom and Dad are leaving you all of our net assets and the million dollar life insurance policy so that you will always have food on your table. We came with nothing, but we are smart, we made it. We love you, and we want you to make it, but really don’t know if you will be able to make it on your own, so we are leaving you enough so that you will never have to worry about money in your life.”

Imagine we are gone, and our kids have our wealth. What might they do with it, what are the options? Only five: spend it, lose it, live off it, give it to charity, or invest it.

The last option is enticing. They will have money to invest, and will become really wealthy! Somehow the world’s richest - Bill Gates, Warren Buffet, and Lakshmi Mittal - didn’t need their parents’s money.

There are two other issues in leaving kids our wealth. By the time we die, our kids are going to be over 50!

The shocking part is that we feel that our kids will need the last one percent. Almost a full majority of our kids disagree with us. Ask them.

You will need it
Forget your kids. Be really truly selfish. You will need it.

We are all coming back in some form for sure. Yes, 100% for sure. An average human being stays alive for 650,000 hours. Then, one not so fine day, the trillion atoms that is you, will pull the plug on you and you will be cremated or buried. You will be dead, but your atoms will move on.

Hindus cremate their dead because they believe that the body is made up of five elements which are earth, water, air, fire, and ether and that cremation transports these five elements to their respective sources at death.

Every single atom will find a place in this universe. In a leaf, in a Lamborghini, in lead, in a laddoo, in a lion, or in a HIV positive orphaned six year old girl named Lavanya who has a limited life left in the dreadful slums of Lucknow.

**Someone pasted data records at this point:**
********
18
Lattice="4.751 0.000 0.000 0.000 4.751 0.000 0.000 0.000 10.372" Properties=species:S:1:pos:R:3 comment="PaHWO6, relaxed, DFT GGA+U" energy_ev_per_atom=-7.79 space_group="P4_2nm (102)" m_tot_mub_per_cell=0.000 pbc="T T T"
Pa 0.000 0.000 0.000
Pa 2.375 2.375 5.186
H 0.000 0.000 4.882
H 2.375 2.375 10.068
W 0.000 0.000 7.122
W 2.375 2.375 1.935
O 0.850 0.850 5.264
O 0.902 0.902 8.449
O 1.054 1.054 1.553
O 1.321 3.430 6.739
O 1.473 3.277 3.263
O 1.526 3.225 0.078
O 3.225 1.526 0.078
O 3.277 1.473 3.263
O 3.430 1.321 6.739
O 3.696 3.696 1.553
O 3.849 3.849 8.449
O 3.901 3.901 5.264

~~~~~

Below is a relaxed Tb4Sm10Th crystal, with properties calculated at the PBE level.

Formation energy from the elements ... 5.34 eV/f.u.
E ... -67.8 eV per formula unit

abc: 10.575 8.718 8.718
angles: 68.42 52.66 52.66
Last column: magnetic moment on the atom in μB.
Fractional positions:
Sm 0.543 0.326 0.906  -0.01
********

There are so many atoms in each one of us, that the odds are almost 100% that some of your lifeless atoms will end up again in a human body. 135 million babies were born in the world in 2006, out of which 26 million were born in India. There is 20% chance that the next human body, in which some of your atoms end up, will be in India.

Then, odds are 70% that you will be poor or very poor, and you will have to live on less money all your life, than what is spent on an average dog’s life in America.

Forget charity with the last one percent, because that is doing something for someone else. Let’s make an investment with that last one percent so that our own atoms can have a better future.

Where is this one percent?
There are many worthwhile charities in the U.S.A. that are focused on assisting India, like AIF and Pratham. We could outsource our charity needs to them.

The total amount given to all India-centric charities in the U.S. last year was U.S. $35 million. The net income of the three million Indians in 2006 was U.S. $120 billion, one percent of which is U.S. $1.2 billion.

Shortfall: One billion, one hundred and sixty five million dollars. Even at one percent, we have a very long way to go.

Why do we hoard? Why don’t we give? Why don’t we share? Why don’t we care about the millions in India who live not only in poverty, but absolute poverty? Why don’t we give back to the Motherland that gave us so much even when she didn’t have enough?

As I write this, my 9-year old daughter comes and sits with me and starts reading from the screen. I casually ask her, “Sabrina, should we give money to a charity to help Indians in India?” She replies, “Yes we should,” I ask her another question, “Why?” She quips without hesitation, “Because, it is the right thing to do.”